== Wanted ==
The reader should transcribe only the lines further below with the word "list" in them.
== Entries ==
********
Structure and simulated powder diffraction line list of LiNiPO4 (a GGA+U-relaxed structure; Cu Kα).

a = 5.6198 Å, b = 10.5537 Å, c = 9.9560 Å
α = 90.00°, β = 91.77°, γ = 90.00°
Space group P2_1/c (No. 14)
Asymmetric unit:
1 Li 0.1113 0.1633 0.3584
2 Li 0.3719 0.6416 0.1129
3 Ni 0.1538 0.6233 0.5143
4 Ni 0.3801 0.0927 0.7685
5 P 0.1233 0.6085 0.8387
6 P 0.3751 0.1457 0.0907
7 O 0.0943 0.0167 0.6668
8 O 0.1105 0.6925 0.9675
9 O 0.1266 0.6927 0.7082
10 O 0.1528 0.0587 0.0759
11 O 0.3350 0.2333 0.2100
12 O 0.3558 0.5269 0.8497
13 O 0.3954 0.5662 0.3759
14 O 0.4175 0.2140 0.9552

Largest 6 diffraction maxima, in order of rising 2θ, 10 to 90 degrees two-theta:
d 7.240, I = 100, hkl 0 1 1
d 4.662, I = 59, hkl 0 2 1
d 2.793, I = 49, hkl 1 1 -3
d 2.714, I = 66, hkl 2 1 0
d 2.638, I = 22, hkl 0 4 0
d 2.486, I = 45, hkl 1 2 3


Structure and simulated powder diffraction line list of LiNiPO4 (a GGA+U-relaxed structure; Cu Kα).

a = 6.1944 Å, b = 8.2372 Å, c = 5.4266 Å
α = 90.00°, β = 90.00°, γ = 90.00°
Space group Ama2 (No. 40)
Asymmetric unit:
1 Li 0.2500 0.1708 0.0000
2 Ni 0.0000 0.0000 0.4990
3 P 0.2500 0.3497 0.4989
4 O 0.0456 0.2452 0.4991
5 O 0.2500 0.4674 0.2679
6 O 0.2500 0.4677 0.7295

Largest 6 diffraction maxima, in order of rising 2θ, 10 to 90 degrees two-theta:
d 4.532, I = 44, hkl 0 1 1
d 3.657, I = 34, hkl 1 1 1
d 2.713, I = 38, hkl 0 0 2
d 2.557, I = 100, hkl 2 1 1
d 2.450, I = 47, hkl 0 3 1
d 1.450, I = 37, hkl 2 4 2


Structure and simulated powder diffraction line list of LiNiPO4 (a GGA+U-relaxed structure; Cu Kα).

a = 5.9477 Å, b = 10.0633 Å, c = 10.0260 Å
α = 90.00°, β = 94.17°, γ = 90.00°
Space group P2_1/c (No. 14)
Asymmetric unit:
1 Li 0.1360 0.0657 0.2685
2 Li 0.3618 0.5944 0.5355
3 Ni 0.1187 0.7087 0.8688
4 Ni 0.3829 0.1685 0.6321
5 P 0.1284 0.1439 0.8958
6 P 0.3573 0.6086 0.1491
7 O 0.0951 0.5705 0.6275
8 O 0.1214 0.2437 0.0162
9 O 0.1412 0.5258 0.1380
10 O 0.1516 0.2333 0.7662
11 O 0.3351 0.0578 0.9170
12 O 0.3634 0.7092 0.2705
13 O 0.3754 0.6942 0.0166
14 O 0.4395 0.0128 0.3341

Largest 6 diffraction maxima, in order of rising 2θ, 10 to 90 degrees two-theta:
d 5.032, I = 83, hkl 0 2 0
d 4.486, I = 100, hkl 0 2 1
d 4.439, I = 76, hkl 1 1 1
d 2.786, I = 84, hkl 0 3 2
d 2.778, I = 70, hkl 0 2 3
d 2.220, I = 49, hkl 2 2 2


Number 3 is which compound?
LiNiPO4

----------

(1)
Diffraction record for YZr2Ir. The powder XRD pattern is computed, not measured: it uses a crystal structure in OQMD, relaxed with GGA-PBE and Cu Kα (weighted mean of Kα1 and Kα2).
Intensities are scaled so that the largest is 100.

Atomic structure:
```
YZr2Ir
1.0
0.0000 3.4683 3.4683
3.4683 0.0000 3.4683
3.4683 3.4683 0.0000
Y Zr Ir
1 2 1
Direct
0.0000 0.0000 0.0000
0.5000 0.5000 0.5000
0.7500 0.7500 0.7500
0.2500 0.2500 0.2500
```

Most intense lines, 2θ = 10–90°, in order of falling intensity:
| 2theta | d [Å] | Rel. int. |
| --- | --- | --- |
| 36.6 | 2.452 | 100 |
| 66.0 | 1.416 | 35 |
| 52.8 | 1.734 | 17 |
| 89.3 | 1.097 | 16 |
| 77.9 | 1.226 | 11 |
| 22.2 | 4.005 | 10 |
| 43.3 | 2.091 | 5 |
| 25.7 | 3.468 | 5 |
| 58.0 | 1.591 | 2 |
| 59.6 | 1.551 | 2 |

=====

(2)
Diffraction record for ZnIr17. The powder XRD pattern is computed, not measured: it uses a crystal structure in OQMD, relaxed with GGA-PBE and Cu Kα (weighted mean of Kα1 and Kα2).
Intensities are scaled so that the largest is 100.

Atomic structure:
```
ZnIr17
1.0
5.4442 0.0000 0.0000
-2.7221 4.7148 0.0000
0.0000 0.0000 33.0514
Zn Ir
2 34
Direct
0.3333 0.6667 0.2782
0.6667 0.3333 0.7218
0.0000 0.0000 0.0000
0.0000 0.0000 0.2038
0.0000 0.0000 0.7962
0.0000 0.5000 0.0000
0.0017 0.5008 0.2031
0.1665 0.3330 0.7307
0.1665 0.8335 0.7307
0.1667 0.3335 0.9321
0.1668 0.3336 0.1358
0.1668 0.8332 0.1358
0.1667 0.8333 0.9321
0.3330 0.1665 0.2693
0.3335 0.1667 0.0679
0.3333 0.6667 0.0676
0.3333 0.6667 0.8649
0.3336 0.1668 0.8642
0.4992 0.5008 0.2031
0.4992 0.9983 0.2031
0.5000 0.0000 0.0000
0.5000 0.5000 0.0000
0.5008 0.0017 0.7969
0.5008 0.4992 0.7969
0.6664 0.8332 0.1358
********
== Here it is ==
Structure and simulated powder diffraction line list of LiNiPO4 (a GGA+U-relaxed structure; Cu Kα).
Structure and simulated powder diffraction line list of LiNiPO4 (a GGA+U-relaxed structure; Cu Kα).
Structure and simulated powder diffraction line list of LiNiPO4 (a GGA+U-relaxed structure; Cu Kα).